Exercise =
Your job: copy every line further below that contains the word "structure".

Material =
- - -
Calculated powder XRD pattern of Au2Se4I3 for copper Kα, from the GGA-PBE geometry in Alexandria.

Main lines, sorted by position (10° ≤ 2θ ≤ 90°):
2θ/deg  I/Imax
12.4  40
16.6  45
16.9  65
20.2  48
24.1  55
27.8  100
31.5  29
31.9  38
44.6  33
45.0  26

Cell and atoms:
```
Au2Se4I3
1.0
3.881 0.000 0.000
0.026 5.689 0.000
1.895 0.319 14.294
Au Se I
2 4 3
direct
0.122 0.211 0.261
0.878 0.789 0.739
0.321 0.756 0.856
0.432 0.858 0.628
0.568 0.142 0.372
0.679 0.244 0.144
0.306 0.259 0.887
0.500 0.500 0.500
0.694 0.741 0.113
```


No. 1
Theoretical PXRD pattern of Ac6Ge2AsS3 for Cu Kα, 1.54184 Å, from a PBE-relaxed structure.
Lines closer than 0.1° are merged.

Structure:
Unit cell a=9.9630 b=9.9630 c=8.8879 alpha=101.84 beta=101.84 gamma=26.14
Fractional positions:
Ac 0.0010 0.0010 0.2507
Ac 0.3328 0.3328 0.4181
Ac 0.3330 0.3330 0.9147
Ac 0.6670 0.6670 0.0853
Ac 0.6672 0.6672 0.5819
Ac 0.9990 0.9990 0.7493
Ge 0.1657 0.1657 0.3312
Ge 0.8343 0.8343 0.6688
As 0.5000 0.5000 0.0000
S 0.1655 0.1655 0.8339
S 0.5000 0.5000 0.5000
S 0.8345 0.8345 0.1661

Main lines, in order of rising 2θ (5 to 70 degrees two-theta):
2θ 24.26, I 51; 2θ 24.70, I 16; 2θ 28.21, I 100; 2θ 40.03, I 39; 2θ 40.61, I 38; 2θ 47.61, I 18; 2θ 49.69, I 21; 2θ 58.34, I 13; 2θ 65.64, I 19; 2θ 66.45, I 18

---

No. 2
Theoretical PXRD pattern of AcAsH for Cu Kα, 1.54184 Å, from a PBE-relaxed structure.
Lines closer than 0.1° are merged.

Structure:
Unit cell a=8.1180 b=7.4280 c=6.4417 alpha=71.24 beta=60.05 gamma=48.71
Fractional positions:
Ac 0.0823 0.6677 0.0823
Ac 0.3323 0.9177 0.3323
Ac 0.6677 0.0823 0.6677
Ac 0.9177 0.3323 0.9177
As 0.2130 0.5370 0.5370
As 0.4630 0.7870 0.7870
As 0.5370 0.2130 0.2130
As 0.7870 0.4630 0.4630
H 0.0114 0.0114 0.2386
H 0.2386 0.2386 0.0114
H 0.7614 0.7614 0.9886
H 0.9886 0.9886 0.7614

Main lines, in order of rising 2θ (5 to 70 degrees two-theta):
2θ 22.39, I 45; 2θ 26.76, I 82; 2θ 28.30, I 92; 2θ 28.69, I 100; 2θ 29.45, I 74; 2θ 35.80, I 46; 2θ 40.74, I 81; 2θ 46.26, I 31; 2θ 52.01, I 44; 2θ 69.19, I 25

---

No. 3
Theoretical PXRD pattern of AcNi2AsH2 for Cu Kα, 1.54184 Å, from a PBE-relaxed structure.
Lines closer than 0.1° are merged.

Structure:
Unit cell a=6.1371 b=5.0533 c=6.2809 alpha=90.00 beta=110.08 gamma=90.00
Fractional positions:
Ac 0.1781 0.2500 0.3130
Ac 0.8219 0.7500 0.6870
Ni 0.3290 0.0004 0.8026
Ni 0.3290 0.4996 0.8026
Ni 0.6710 0.9996 0.1974
Ni 0.6710 0.5004 0.1974
As 0.3259 0.7500 0.1222
As 0.6741 0.2500 0.8778
H 0.1406 0.2500 0.7305
H 0.2655 0.7500 0.6194
H 0.7345 0.2500 0.3806
H 0.8594 0.7500 0.2695

Main lines, in order of rising 2θ (5 to 70 degrees two-theta):
2θ 23.18, I 45; 2θ 23.41, I 33; 2θ 24.83, I 100; 2θ 25.03, I 35; 2θ 30.30, I 36; 2θ 35.23, I 41; 2θ 35.87, I 39; 2θ 39.67, I 37; 2θ 39.84, I 45; 2θ 43.96, I 57

---

No. 4
Theoretical PXRD pattern of AcAsHPd for Cu Kα, 1.54184 Å, from a PBE-relaxed structure.
Lines closer than 0.1° are merged.

Structure:
Unit cell a=4.5426 b=4.5426 c=4.1473 alpha=90.00 beta=90.00 gamma=120.00
Fractional positions:
Ac 0.0000 0.0000 0.0000
As 0.3333 0.6667 0.4821
H 0.6667 0.3333 0.9663
Pd 0.6667 0.3333 0.5200

Main lines, in order of rising 2θ (5 to 70 degrees two-theta):
2θ 22.60, I 19; 2θ 31.34, I 100; 2θ 39.68, I 45; 2θ 43.65, I 11; 2θ 46.15, I 3; 2θ 49.70, I 6; 2θ 51.41, I 25; 2θ 60.45, I 25; 2θ 62.46, I 3; 2θ 66.84, I 23

---

No. 5
Theoretical PXRD pattern of AcAsH2Ru for Cu Kα, 1.54184 Å, from a PBE-relaxed structure.
Lines closer than 0.1° are merged.

Structure:
Unit cell a=5.9633 b=5.9633 c=6.1976 alpha=90.00 beta=90.00 gamma=138.94
Fractional positions:
Ac 0.2022 0.7978 0.7500
Ac 0.7978 0.2022 0.2500
As 0.0745 0.9255 0.2500
As 0.9255 0.0745 0.7500
H 0.3492 0.6508 0.0570
H 0.3492 0.6508 0.4430
H 0.6508 0.3492 0.5570
H 0.6508 0.3492 0.9430
Ru 0.5000 0.5000 0.0000
Ru 0.5000 0.5000 0.5000

Main lines, in order of rising 2θ (5 to 70 degrees two-theta):
- - -

Outcome =
Theoretical PXRD pattern of Ac6Ge2AsS3 for Cu Kα, 1.54184 Å, from a PBE-relaxed structure.
Theoretical PXRD pattern of AcAsH for Cu Kα, 1.54184 Å, from a PBE-relaxed structure.
Theoretical PXRD pattern of AcNi2AsH2 for Cu Kα, 1.54184 Å, from a PBE-relaxed structure.
Theoretical PXRD pattern of AcAsHPd for Cu Kα, 1.54184 Å, from a PBE-relaxed structure.
Theoretical PXRD pattern of AcAsH2Ru for Cu Kα, 1.54184 Å, from a PBE-relaxed structure.